The United Kingdom constitution – a mapping exercise
### Inserted here: crystal structures
+++
No. 1
Diffraction record for HoZn9Au2. The powder X-ray diffraction pattern is simulated, not measured: it uses DFT lattice parameters and positions (PBE) and Cu Kα.
Intensities are scaled so that the largest is 100.

Structural model:
a = 10.7323 Å, b = 10.7323 Å, c = 6.9177 Å
α = 90.00°, β = 90.00°, γ = 90.00°
Space group I4_1/amd (No. 141, origin choice 2)
Symmetry-distinct sites (fractional):
Ho1 0.0000 0.2500 0.3750 (multiplicity 4)
Zn1 0.0000 0.2500 0.8750 (multiplicity 4)
Zn2 0.1204 0.0427 0.6706 (multiplicity 32)
Au1 0.0000 0.0000 0.0000 (multiplicity 8)

Main lines, sorted by position (5 to 70 degrees two-theta):
2θ/deg  intensity
22.55  60
32.75  100
33.40  45
37.11  95
37.48  68
39.99  54
43.54  36
44.18  88
46.03  89
47.48  35

***

No. 2
Diffraction record for Au4I5. The powder X-ray diffraction pattern is simulated, not measured: it uses DFT lattice parameters and positions (PBE) and Cu Kα.
Intensities are scaled so that the largest is 100.

Structural model:
a = 12.3950 Å, b = 12.3950 Å, c = 4.7613 Å
α = 90.00°, β = 90.00°, γ = 90.00°
Space group I4/m (No. 87)
Symmetry-distinct sites (fractional):
Au1 0.0622 0.7810 0.0000 (multiplicity 8)
I1 0.0000 0.0000 0.0000 (multiplicity 2)
I2 0.0945 0.6928 0.5000 (multiplicity 8)

Main lines, sorted by position (5 to 70 degrees two-theta):
2θ/deg  intensity
19.98  42
20.26  29
22.69  100
32.11  35
32.30  14
35.31  32
37.79  22
41.05  36
44.53  34
53.17  28

***

No. 3
Diffraction record for InAu3I9. The powder X-ray diffraction pattern is simulated, not measured: it uses DFT lattice parameters and positions (PBE) and Cu Kα.
Intensities are scaled so that the largest is 100.

Structural model:
a = 21.1704 Å, b = 8.7484 Å, c = 14.9646 Å
α = 90.00°, β = 123.91°, γ = 90.00°
Space group Cc (No. 9)
Symmetry-distinct sites (fractional):
In1 0.0000 0.2503 0.0000 (multiplicity 4)
Au1 0.0552 0.1381 0.7211 (multiplicity 4)
Au2 0.2499 0.4096 0.2503 (multiplicity 4)
Au3 0.4443 0.1380 0.7788 (multiplicity 4)
I1 0.0437 0.3224 0.2282 (multiplicity 4)
I2 0.0869 0.0351 0.5822 (multiplicity 4)
I3 0.1387 0.4210 0.0491 (multiplicity 4)
I4 0.2030 0.2632 0.8542 (multiplicity 4)
I5 0.2496 0.0020 0.9996 (multiplicity 4)
I6 0.2959 0.2595 0.6447 (multiplicity 4)
I7 0.3613 0.4200 0.4515 (multiplicity 4)
I8 0.4133 0.0361 0.9186 (multiplicity 4)
I9 0.4559 0.3220 0.2720 (multiplicity 4)

Main lines, sorted by position (5 to 70 degrees two-theta):
2θ/deg  intensity
14.80  27
17.17  57
20.75  35
21.54  100
23.34  33
24.50  31
25.50  42
30.80  27
33.27  30
42.75  27

***

No. 4
Diffraction record for In3AuI6. The powder X-ray diffraction pattern is simulated, not measured: it uses DFT lattice parameters and positions (PBE) and Cu Kα.
Intensities are scaled so that the largest is 100.

Structural model:
a = 9.1749 Å, b = 8.4775 Å, c = 12.7488 Å
α = 90.00°, β = 109.35°, γ = 90.00°
Space group P2_1 (No. 4)
Symmetry-distinct sites (fractional):
In1 0.2417 0.0000 0.1911 (multiplicity 2)
In2 0.2448 0.5925 0.4149 (multiplicity 2)
+++
### Here the page continues
A briefing paper which "maps" (or summarises) the main elements of the United Kingdom's uncodified constitution.

This Commons Library briefing paper summarises how the result will be declared following the referendum on the UK’s membership of the EU on Thursday 23 June 2016.
EU referendum: how the result will be declared (388 KB , PDF)
Previous referendums do not provide a precedent for how the timings of the EU referendum count will proceed.
This is only the third UK-wide referendum. The 1975 referendum was counted the day after polling day and the 2011 referendum on voting reform was combined with a number of other polls.
The Electoral Commission has directed all counting officers to count overnight on Thursday 23/Friday 24 June. Over 44 million people will be eligible to vote.
This means that at the close of the poll at 10.00 pm on Thursday 23 June the process of counting can begin.
Voters who at 10.00 pm are in the polling station, or in a queue outside the polling station, for the purpose of voting, may apply for a ballot and must be allowed to vote.
Anyone arriving after 10.00pm who attempts to join the queue cannot be issued with a ballot paper under any circumstances. Anyone attempting to deliver a postal vote after 10.00pm will not be allowed to do so.
In Gibraltar, where polling stations close at 10.00 pm local time (9.00pm BST) counting will only commence at 11.00pm local time (10.00pm BST) to ensure all counts occur at the same time.
This is hard to estimate as there is no real precedent for a referendum in these circumstances as this is only the third UK-wide referendum and the previous two differed in several ways.
The counting process will start at 10.00pm on Thursday 23 June 2016 as the polls close. Individual counting areas will start declaring totals in the early hours of Friday morning but it is unlikely that the official UK total will be officially declared until several hours later.
The official result will only be declared by the Chief Counting Officer once all regional totals have been approved and declared. Each regional result will only be declared once all the local results in the region have been declared and collated.
The separate counting areas are in 11 regions plus Northern Ireland (see section 5 for the detail of the counts and declarations).
Individual counting areas vary in size. Birmingham, for example has nearly 700,000 eligible voters and is the largest local authority in the country in terms of population. In contrast, the City of London, has about 7,000 eligible voters.
The smallest counting area is the Isles of Scilly with about 1,700 voters spread across five inhabited islands.
Highland Council has over 170,000 eligible voters but they are spread over 2.6 million hectares. At the Scottish independence referendum the Highland Council result was the last result reported, at just after 8.00 am.
The Orkney Islands council area has about 17,000 eligible voters spread over 20 inhabited islands and reported its Scottish independence result at just after 2.00am.
At the 2014 European Parliamentary elections Gibraltar had an electorate of around 22,300 so it is likely to be an early result. The Clerk of the Gibraltar Parliament has estimated a result around 2.00 am local time.
The result may become clear before the final national result is officially declared by the Chief Counting Officer. At the Scottish independence referendum the ‘No’ vote declared by Fife council at just after 6.00am on Friday 19 September 2014 meant that the national running total of ‘No’ votes could not be beaten, but the official result was not declared by the Chief Counting Officer until 9.00 am.
However, if the result is close, as with the referendum on devolution in Wales in 1997, the result may depend on every counting area. In 1997 the ‘Yes’ vote to establish the National Assembly of Wales was not decided until the last area to declare, Carmarthenshire.
The Referendum Rules make it clear who must be admitted to the counts and those who may be admitted to the count.
By law certain people must be admitted to an election count and the Referendum Rules (Section 45) adapt those classic election rules to apply to the referendum. These are:
In addition Counting Officers may permit other people access to the count if:
Further information about the people involved is explained in the associated PDF.
The count will be conducted in 382 counting areas. In Great Britain the count areas will be local authorities responsible for electoral registration. This means there are 380 counting areas in Great Britain.
The Northern Ireland count will be held at eight locations across Northern Ireland.
The referendum ballots will be counted by UK Parliamentary constituency at the eight counting centres. The counting centres are the same as those for the Assembly elections on the 5 May 2016.
As with the 2011 referendum on voting reform, votes will be collated into one total for Northern Ireland from each of the eight counting venues. In 2011 results were not published by constituency, only by counting area.
Gibraltar is a single counting area. There will be 14 polling stations across Gibraltar. The count will be conducted at University of Gibraltar Campus, Europa Point, on the southern tip of the territory.
The referendum specific legislation makes provision for counting and referendum agents to be present at regional counts as well as at the 382 local counting areas.
Regional counts will not actually count individual ballot papers but will be the base for the Regional Counting Officer to execute their functions on the night. This includes collating and announcing the final result for the region.
Region |
Town |
East of England |
Chelmsford |
East Midlands |
Kettering |
London |
London Councils* |
North East |
Sunderland |
North West |
Manchester |
Scotland |
Falkirk |
South East |
Southampton |
South West and Gibraltar |
Poole |
Wales |
Flintshire |
West Midlands |
Birmingham |
Yorkshire and the Humber |
Leeds |
*London Councils is a cross-party group representing the 32 boroughs of London and the City of London. It will be hosting the London regional count at The Guildhall in the City of London.
The Chief Counting Officer for the referendum will be based at the national counting event. This will be Manchester Town Hall. It will also be the venue for the North West regional hub count.
The local count for the City of Manchester counting area will be at the Manchester Central Convention Centre.
The count at elections and referendums in the UK are guided by key principles:
Further information about the process is explained in the associated PDF.
For the referendum there will be declarations for local and regional totals as well as a national total.
Local declarations will be made at the local counting venue in each of the 382 counting area.
The RCO will collate all the local totals in his or her area. Once all of them are collated and the regional total is known this will be submitted to the Chief Counting Officer.
Once the CCO gives permission the RCO will declare the regional result.
No ballot papers are physically counted at regional count hubs and there is no provision for a region-wide recount to be undertaken.
The Chief Counting Officer will collate all regional totals and once all the regional results, including Northern Ireland, have been approved and declared the Chief Counting will declare the final UK and Gibraltar total.
This will be the official final result and there is no provision for a recount at national level.
The national result, once declared, will be final but it is not legally binding.
The European Referendum Act 2015 does not include provisions to implement the result of the referendum; legally, the Government is not bound to follow the outcome. However, it would be very unlikely for the Government to ignore the outcome of the referendum.
EU referendum: how the result will be declared (388 KB , PDF)
A briefing paper which "maps" (or summarises) the main elements of the United Kingdom's uncodified constitution.
Recall allows voters to remove an elected representative between elections by signing a petition. This briefing explains how UK recall petitions work.
The Absent Voting (Elections in Scotland and Wales) Bill would allow for the alignment of rules on absent voting arrangements between reserved and devolved elections in Scotland and Wales.